The rhythm of life on the smallholding has increased considerably over the past few weeks and it hasn’t all been due to the rare appearance of the sun
It was quite a treat to get out and about without wellington boots and thermals, albeit for just a few days before the cold and damp weather returned.
Having endured one of the coldest March for many years, let’s hope that conditions improve and we can look forward to a great fruit harvest later in the year. Last year with an unseasonably hot March, followed by frosts and prolonged rain, the pollination of the fruit was very poor and we had a much reduced fruit harvest.
(1)
Starting from a PBE-relaxed structure, the X-ray powder pattern of K2TeSO10 was calculated for a wavelength of 1.5418 Å.

Principal peaks in the range 2θ from 15° to 90°, in order of falling intensity:
Position (°2θ)  I_rel
23.46  100
24.86  89
24.64  85
25.49  82
16.16  81
26.29  79

a b c (Å): 6.1397 6.9173 12.9015
angles (deg): 82.89 80.59 65.12
Atoms (fractional coordinates):
K 0.0529 0.1133 0.1555
K 0.3039 0.4067 0.3609
K 0.6961 0.5933 0.6391
K 0.9471 0.8867 0.8445
Te 0.0000 0.0000 0.5000
Te 0.5000 0.5000 0.0000
S 0.3170 0.2418 0.7492
S 0.6830 0.7582 0.2508
O 0.0592 0.2267 0.5481
O 0.1083 0.4500 0.7620
O 0.1549 0.0659 0.3652
O 0.2038 0.7460 0.0305
O 0.2442 0.0798 0.7161
O 0.2672 0.3709 0.0339
O 0.2715 0.7637 0.5521
O 0.4287 0.1487 0.8473
O 0.4837 0.5893 0.8530
O 0.4982 0.2835 0.6670
O 0.5018 0.7165 0.3330
O 0.5163 0.4107 0.1470
O 0.5713 0.8513 0.1527
O 0.7285 0.2363 0.4479
O 0.7328 0.6291 0.9661
O 0.7558 0.9202 0.2839
O 0.7962 0.2540 0.9695
O 0.8451 0.9341 0.6348
O 0.8917 0.5500 0.2380
O 0.9408 0.7733 0.4519



(2)
Starting from a PBE-relaxed structure, the X-ray powder pattern of KTeS2O8 was calculated for a wavelength of 1.5418 Å.

Principal peaks in the range 2θ from 15° to 90°, in order of falling intensity:
Position (°2θ)  I_rel
28.79  100
22.92  87
20.62  37
36.11  35
46.82  27
41.55  21

a b c (Å): 4.9749 4.9749 8.9346
angles (deg): 90.00 90.00 120.00
Atoms (fractional coordinates):
K 0.0000 0.0000 0.0000
Te 0.0000 0.0000 0.5000
S 0.3333 0.6667 0.7401
S 0.6667 0.3333 0.2599
O 0.0664 0.3653 0.6833
O 0.2989 0.9336 0.6833
O 0.3333 0.6667 0.9038
O 0.3653 0.2989 0.3167
O 0.6347 0.7011 0.6833
O 0.6667 0.3333 0.0962
O 0.7011 0.0664 0.3167
O 0.9336 0.6347 0.3167



Copy entry 1 word for word.
Starting from a PBE-relaxed structure, the X-ray powder pattern of K2TeSO10 was calculated for a wavelength of 1.5418 Å.

Principal peaks in the range 2θ from 15° to 90°, in order of falling intensity:
Position (°2θ)  I_rel
23.46  100
24.86  89
24.64  85
25.49  82
16.16  81
26.29  79

a b c (Å): 6.1397 6.9173 12.9015
angles (deg): 82.89 80.59 65.12
Atoms (fractional coordinates):
K 0.0529 0.1133 0.1555
K 0.3039 0.4067 0.3609
K 0.6961 0.5933 0.6391
K 0.9471 0.8867 0.8445
Te 0.0000 0.0000 0.5000
Te 0.5000 0.5000 0.0000
S 0.3170 0.2418 0.7492
S 0.6830 0.7582 0.2508
O 0.0592 0.2267 0.5481
O 0.1083 0.4500 0.7620
O 0.1549 0.0659 0.3652
O 0.2038 0.7460 0.0305
O 0.2442 0.0798 0.7161
O 0.2672 0.3709 0.0339
O 0.2715 0.7637 0.5521
O 0.4287 0.1487 0.8473
O 0.4837 0.5893 0.8530
O 0.4982 0.2835 0.6670
O 0.5018 0.7165 0.3330
O 0.5163 0.4107 0.1470
O 0.5713 0.8513 0.1527
O 0.7285 0.2363 0.4479
O 0.7328 0.6291 0.9661
O 0.7558 0.9202 0.2839
O 0.7962 0.2540 0.9695
O 0.8451 0.9341 0.6348
O 0.8917 0.5500 0.2380
O 0.9408 0.7733 0.4519
Optimistically, the signs are looking better for this year but always at the back of our minds is the requirement for adaptability. This is paramount in how we take our growing forward as the weather patterns are changing by the year.
There have been sightings of Red Admiral and the vibrant sulphur yellow Brimstone, both of which hibernate as adults over the winter. The first ‘new’ butterflies of the year will be Orange Tips, which may start emerging this month
Some 15 children joined us for a lively and fun-packed “Build an Insect House” workshop during the Easter holidays. Our site manager, Iain had made the wooden house kits beforehand but assembly involved much hammering to create probably one of the noisiest workshops we have held.
Sadly I wasn’t able to join the action because on the same day we had our annual Soil Association inspection and, together with a SA inspector, I spent an intensive day going through all our mandatory records including plant rotations, yields, numbers and varieties of all organic plants grown, pests and diseases incurred during the year composting records…. and so on. These are all important data that go to make up how we conduct our day to day working practices at Tuppenny and will give a thorough audit trail from seed to shop. In this age of traceability this gives our customers confidence in knowing what they buy from us is from an accredited source that has been inspected for its standards.
But the hard work was worth the effort with a positive outcome and re-accreditation for another year.
For the next few weeks I have cleared my diary in order to concentrate on grant and fund raising for the education centre build. It is extremely difficult to find sufficient time to do this along with all the other tasks with the organics and educational sides of the business. But we need to keep our fund-raising at a high level if we are to complete the new building by the end of the year.
So it was particularly gratifying to hear in March that we that we were to receive another £30,000 from the Roddick Foundation. This will fund, amongst other items, the bespoke windows and doors that are being crafted for the project.
It will be really good to be able to finish off the main structural parts of the building and be able to shut a main door. We are now completely waterproof and the last of the Rockwool insulation in the roof area is in place.
Finally for this month’s blog, Tuppenny Barn had a stand at the South Downs Education Forum as one of the 30 education providers within the National Park area.
The event was attended by 120 teachers who heard a key note speech by the eminent environmentalist, Jonathan Porritt. His message was one of a stark warning of the disconnect that many children have these days with their natural environment and the dire consequences they will see in their life time if they don’t embrace conservation in its broadest terms.
We hope that we can play our very small part here at Tuppenny Barn in showing our young people what a wonderful environment we have here on our doorstep and providing practical ways in which we can engage and interest them in their natural surroundings.